Handling anxiety following a breakup can be really overwhelming, but it’s important to focus on our mental health and well-being during this time of transition. Below are some strategies you can use to navigate through this challenging period:

1. Identification of our emotions: Allow yourself to sit with, identify and feel the full range of emotions that emerge following a break-up, including sadness, anger, and grief. Remember it is okay to feel this way! And gently nurture these emotions gradually.
2. Engage in regular Self-Care: Take care of yourself physically, emotionally and mentally. Obtain plenty of sleep, eat healthy food, exercise regularly, and engage in pleasurable and meaningful activities. Lasty, be gentle on yourself on days you are feeling overwhelmed and exhausted.
3. Reach out to others: Consider reaching out to friends and family and increasing your social engagement with others. Think of many of your friends and family who could offer a sympathetic ear, encouragement or entertaining times. Reach out to others if you need it!
4. Cut Down on Social Media Use: Consider cutting down on social media if you use it, unfollow your ex-partner, or avoid triggers that may cause you to feel anxiety or sadness.
5. Establish Boundaries: Set boundaries with your ex-partner, as to create a space to reflect and allow for healing. Avoid unnecessary contact focus on your ex-partner and create a new routine that prioritizes your mental health.
6. Practice Mindfulness Exercises: Incorporate mindfulness exercises into your daily routine to help calm your anxiety and stress, cultivating a sense of calm and relaxation. Use techniques such as diaphragmatic breathing, open monitoring meditation, and progressive muscle relaxation.
7. Practice Cognitive Restructuring: Be mindful of the way you the beliefs and patterns of thinking you regularly use that could be perpetuating your symptoms. Regularly challenge and modify negative thoughts and reframe them with beliefs that improve your mental well-being.
8. Change you Focus: Engage in activities you enjoy such as spending time with loved ones or immersing yourself in creative pursuits like art or music at times when you start negatively thinking about the break-up
## Records of crystals that have nothing to do with the text
'''
Record 1
First-principles (GGA-PBE) data for crystalline NaAlSi2H2O7 at its relaxed geometry, as listed in the Materials Project.

Properties
As for the space group: C2/c (15). The calculated volume comes out at 12.921 Å³ per atom. The value obtained for the total energy is -6.756 eV/atom.

Cell lengths 12.0485, 12.0485, 13.7473 Å; angles 55.14, 55.14, 70.54 degrees
Fractional coordinates of all 104 atoms:
Al (0.0237, 0.2166, 0.2254)
Al (0.9763, 0.7834, 0.7746)
Al (0.5389, 0.7261, 0.0344)
Al (0.7261, 0.5389, 0.5344)
Al (0.2166, 0.0237, 0.7254)
Al (0.4611, 0.2739, 0.9656)
Al (0.2739, 0.4611, 0.4656)
Al (0.7834, 0.9763, 0.2746)
Na (0.9098, 0.4328, 0.3294)
Na (0.4261, 0.5739, 0.7500)
Na (0.0902, 0.5672, 0.6706)
Na (0.4328, 0.9098, 0.8294)
Na (0.9323, 0.0677, 0.7500)
Na (0.5739, 0.4261, 0.2500)
Na (0.0677, 0.9323, 0.2500)
Na (0.5672, 0.0902, 0.1706)
O (0.3953, 0.1238, 0.1224)
O (0.1989, 0.8605, 0.8684)
O (0.1395, 0.8011, 0.6316)
O (0.3935, 0.8299, 0.5395)
O (0.8605, 0.1989, 0.3684)
O (0.0865, 0.3621, 0.1765)
O (0.2350, 0.5051, 0.1509)
O (0.9915, 0.7899, 0.8905)
O (0.7244, 0.4489, 0.2945)
O (0.4098, 0.3497, 0.4759)
O (0.0183, 0.7368, 0.4743)
O (0.8011, 0.1395, 0.1316)
O (0.3621, 0.0865, 0.6765)
O (0.0085, 0.2101, 0.1095)
O (0.6994, 0.3919, 0.5499)
O (0.9135, 0.6379, 0.8235)
O (0.7070, 0.1312, 0.7098)
O (0.1238, 0.3953, 0.6224)
O (0.8688, 0.2930, 0.7902)
O (0.7899, 0.9915, 0.3905)
O (0.1701, 0.6065, 0.9605)
O (0.8762, 0.6047, 0.3776)
O (0.5511, 0.2756, 0.2055)
O (0.6047, 0.8762, 0.8776)
O (0.7204, 0.9835, 0.6148)
O (0.7650, 0.4949, 0.8491)
O (0.2930, 0.8688, 0.2902)
O (0.4489, 0.7244, 0.7945)
O (0.7368, 0.0183, 0.9743)
O (0.4949, 0.7650, 0.3491)
O (0.3497, 0.4098, 0.9759)
O (0.9249, 0.8752, 0.2236)
O (0.5902, 0.6503, 0.5241)
O (0.3919, 0.6994, 0.0499)
O (0.9835, 0.7204, 0.1148)
O (0.5067, 0.2815, 0.8165)
O (0.6065, 0.1701, 0.4605)
O (0.6503, 0.5902, 0.0241)
O (0.0751, 0.1248, 0.7764)
O (0.2815, 0.5067, 0.3165)
O (0.2632, 0.9817, 0.0257)
O (0.8752, 0.9249, 0.7236)
O (0.7185, 0.4933, 0.6835)
O (0.9817, 0.2632, 0.5257)
O (0.6081, 0.3006, 0.9501)
O (0.1248, 0.0751, 0.2764)
O (0.8299, 0.3935, 0.0395)
O (0.1312, 0.7070, 0.2098)
O (0.2796, 0.0165, 0.3852)
O (0.2756, 0.5511, 0.7055)
O (0.4933, 0.7185, 0.1835)
O (0.3006, 0.6081, 0.4501)
O (0.0165, 0.2796, 0.8852)
O (0.5051, 0.2350, 0.6509)
O (0.2101, 0.0085, 0.6095)
O (0.6379, 0.9135, 0.3235)
H (0.2370, 0.8928, 0.0559)
H (0.1072, 0.7630, 0.4441)
H (0.3320, 0.5348, 0.6286)
H (0.0507, 0.2159, 0.4768)
H (0.7841, 0.9493, 0.0232)
H (0.6680, 0.4652, 0.3714)
H (0.8928, 0.2370, 0.5559)
H (0.2470, 0.6472, 0.6677)
H (0.5348, 0.3320, 0.1286)
H (0.7630, 0.1072, 0.9441)
H (0.6472, 0.2470, 0.1677)
H (0.9493, 0.7841, 0.5232)
H (0.4652, 0.6680, 0.8714)
H (0.3528, 0.7530, 0.8323)
H (0.2159, 0.0507, 0.9768)
H (0.7530, 0.3528, 0.3323)
Si (0.0262, 0.2725, 0.7641)
Si (0.5343, 0.7872, 0.4330)
Si (0.7275, 0.9738, 0.7359)
Si (0.7872, 0.5343, 0.9330)
Si (0.3988, 0.7376, 0.3154)
Si (0.2725, 0.0262, 0.2641)
Si (0.0844, 0.7463, 0.9573)
'''
## Here the text continues
9. Practice Gratitude: Cultivate a sense of gratitude by focusing on the positive aspects of your life, during the pain of the breakup. Keep a gratitude journal and make a habit of acknowledging the things you are truly thankful for each day.
10. Seek Professional Help: Consider seeking counselling to process your emotions and learn or practice coping strategies for managing anxiety. A counsellor can provide valuable support and guidance during this challenging time.